American Marketer


Why QR codes and mobile apps fail

July 15, 2011

Lauren DeLisa Coleman


By Lauren DeLisa Coleman

Too often brands and marketers are quietly chanting troubling, false mantras targeted at two particularly powerful elements from the mobile marketing tool chest.

In fact, it may be happening just down the hall from you right now as you read this piece.

While all mobile bravado on the outside, peeling back the curtain reveals that many of those same would-be fierce marketers and advertisers even progressive enough to test QR tags are actually whispering: “QR tags don't really work 'cause consumers just don't use them.”

And when it comes to mobile applications, others whisper: “No one is really using the app we've built, and they are too complicated to develop anyway given all the different handsets and parameters, but we need to have one.”

Attached: molecular data:
/*
Record 1
This record from OMol25 describes a 2-piece molecular cluster, C5H9O3 overall. The level of theory is the ωB97M-V functional and the def2-TZVPD basis.

Positions of all 17 atoms, in Å:
C 2.249 -2.423 1.214
O -0.257 1.715 0.584
H 0.359 0.935 0.580
H -1.808 0.686 -2.181
H -2.392 3.106 0.606
O 1.342 -0.322 0.573
C 1.175 -1.574 0.525
H 1.919 -2.604 2.247
C -1.202 1.673 -0.350
H 3.202 -1.898 1.288
C -2.273 2.465 -0.257
H -2.990 2.448 -1.057
O 0.217 -2.192 0.028
C -0.986 0.719 -1.477
H -0.824 -0.280 -1.056
H -0.055 0.941 -1.997
H 2.323 -3.394 0.729

Strongest force on any atom (eV/A): 0.78
Kohn-Sham gap (eV): 8.677
Total energy (Eh): -421.70716
Energy relative to the best compared isomer or geometry (same formula, charge and spin) (kcal/mol): 0.1
E_HOMO (eV): -4.54
Spin multiplicity: 1
Net charge: -1

***

Record 2
This record from OMol25 describes C6H13PS as an isolated structure in a non-equilibrium geometry. The level of theory is the ωB97M-V functional and the def2-TZVPD basis.

Positions of all 21 atoms, in Å:
S 2.004 -1.297 0.686
C -0.828 -0.552 1.429
H 0.877 0.783 -1.609
H 2.279 2.071 -0.416
H 0.166 -0.489 3.427
C -0.980 -0.150 -1.789
H 2.168 2.257 1.400
H 0.868 2.780 0.102
C 1.684 2.132 0.425
H -1.811 -0.671 -1.252
C 0.068 0.292 -1.147
C -1.209 -0.135 -3.226
H -0.750 -1.100 -3.374
P 0.460 0.071 0.560
C -0.585 -1.084 2.828
H -0.666 0.431 -3.876
H -2.221 -0.146 -3.609
H -1.484 -1.270 3.502
H -0.017 -2.176 2.763
H 1.576 -1.864 1.812
H -1.600 0.118 1.365

Strongest force on any atom (eV/A): 4.03
Kohn-Sham gap (spin up / spin down) (eV): 7.839 / 7.839
Total energy (Eh): -975.78459
Energy relative to the best compared isomer or geometry (same formula, charge and spin) (kcal/mol): 75.0
E_HOMO (spin up / spin down) (eV): -7.22 / -7.22
Spin multiplicity: 1

***

Record 3
This record from OMol25 describes a 2-piece molecular cluster, C6H12N3S overall in a non-equilibrium geometry. The level of theory is the ωB97M-V functional and the def2-TZVPD basis.

Positions of all 22 atoms, in Å:
H -3.007 1.832 1.458
C 2.111 2.435 -0.365
C 0.637 -2.145 0.941
N -1.074 1.084 0.836
C -1.712 0.067 -0.903
H -0.834 -3.055 -0.237
H -1.720 -0.169 -1.972
C 0.695 -0.052 -0.297
H 3.112 2.559 -0.705
C -2.447 1.116 0.934
N -0.640 0.462 -0.227
H 0.661 -1.372 1.633
H 1.336 2.569 -1.220
N -0.564 -2.564 0.632
H -1.320 -2.020 1.044
S 1.836 0.935 0.640
H 1.100 -0.236 -1.324
H -3.896 0.348 -0.789
H 1.418 -2.778 0.632
C -2.887 0.470 -0.217
H -0.375 1.575 1.413
H 1.850 3.288 0.336

Strongest force on any atom (eV/A): 3.40
Kohn-Sham gap (eV): 7.896
Total energy (Eh): -797.90134
Energy relative to the best compared isomer or geometry (same formula, charge and spin) (kcal/mol): 80.8
E_HOMO (eV): -11.52
Spin multiplicity: 1
Net charge: +1

***

Record 4
This record from OMol25 describes C29H35Cl3CoN4O2P2 as an isolated structure in a non-equilibrium geometry. The level of theory is the ωB97M-V functional and the def2-TZVPD basis.

Positions of all 76 atoms, in Å:
*/



In fact, this perspective from modern professionals is absolutely fascinating because it seems that the technology itself and/or consumer is actually bearing the brunt of the lack of success in certain mobile campaigns rather than the actual strategy – or lack therefore – of deployment and the internal corporate culture from which the mobile tools are being initiated in the first place. And this is the very heart of the matter.

Thus, at this point in mobile development, it is vital to begin to drill down into the real issues behind lack of success in mobile and correct them, especially for those executives considering using these tools to reach the valuable younger, hipper demo as well as the out-indexing multicultural audiences, both of which are tethered strongly to mobile devices and, therefore, prime for mobile campaign incorporation.

Make the mistake of either misusing or dismissing such tools as QR tags and mobile apps within – where appropriate – the overall marketing strategy and a company, quite simply misses potential sales and visibility.

The key is to actually break through the myths and whispers, move beyond just the sexy allure of mobile technology and begin actually applying the platforms with a more thorough understanding of sociological behavior which drives usage and, of course, combine that knowledge with the use of more efficient ROI metrics.

First, the QR code.

For those who may not yet be familiar, this slightly maze-like or alien-looking pattern within a square shape is the item in question and one which is beginning to be used by more brands. Mostly, incorrectly.

The concept is simple: to basically use the code as a doorway-of-sorts into a rich-media brand-related experience, including video, text and SMS opt-in, to create deeper engagement and sales leads. Typically, it can only be accessed, though, by first downloading an app.

Downloading is hardly a problem for today’s young master of mobile, but it is quite rare to see any type of instruction, discussion, teaser or anything remotely related to driving awareness about the tag/code via social media or any other marketing element prior to or when encountering the code.

There is no indication of the sociological experience forthcoming or any of its allure.

Historically, when confronted with something new, human beings need a certain level of information to actually make an engagement decision. Essentially, this is missing, and these items exist in silos, suffering from severe lack of promotional strategy, so it is no wonder why so few marketers believe the codes “work.”

In addition, there is little or no build-up to the release of one, little or no incentive or information on what the value is should one take the time to download it and often times little value/reward within a sea of inorganic content once within the code.

And even where some of these elements are happening, there is certainly room for growth.

There is nothing wrong with the tags, the issue is how they are being used, for the most part.

Get it right and there could just be gold at the end of the rainbow because statistics show that 62 percent of people who engage with QR codes do in fact go on to engage with other codes.

Thus, what brands have is an element to create engagement in a consumer’s pocket, but it will only be achieved by overcoming temerity, developing strong, 360-degree promotional strategies and gathering true experiential understanding of the brand’s target audience before embarking on further mobile adventure.

App trap

Similarly with mobile applications, too often teams seem to be relying mistakenly on an app store to actually handle the bulk of the actual promotion – a clear mistake given the sheer number of applications and scope of the marketplaces themselves.

Frequently, genuine consumer behavior and interest is also disregarded.

Not every brand is appropriate for its own full app and often times could much better connect with audiences by building out and offering an app which speaks to the larger lifestyle to which the brand is an integral part, for example.

Generating greater consumer value within the app is key to retain attention.

Also, in determining ROI, there does not seem to be enough appropriate analytics used to determine success, let alone having defined the parameters for success at the outset before declaring the failure.

Even simple elements such as tracking tokens can provide a wealth of information to better define, measure and test.

These are just a few of the reasons why a brand’s app may not “working.”

• Records of molecules, as found in the file:
Record 1
Density functional theory data (ωB97M-V with the def2-TZVPD basis set) for a molecular structure, C43H35GeNO2P2S2V.

The geometry in ORCA input format:
```
! RIJCOSX wB97M-V def2-TZVPD def2/J DEFGRID3
* xyz 2 2
V -1.526 1.693 0.412
S -1.158 2.041 -1.969
P 0.688 1.507 -1.345
C 0.116 0.742 0.120
P 0.709 0.925 1.760
S -0.905 1.962 2.584
C 0.888 -0.645 2.584
C 0.759 -0.710 3.972
C 1.007 -1.904 4.625
C 1.399 -3.025 3.901
C 1.535 -2.958 2.523
C 1.271 -1.769 1.858
C 2.231 1.817 2.006
C 3.418 1.096 1.826
C 4.635 1.713 2.051
C 4.670 3.039 2.465
C 3.495 3.752 2.646
C 2.270 3.145 2.414
C 1.513 0.373 -2.439
C 1.301 0.460 -3.813
C 2.003 -0.375 -4.668
C 2.912 -1.289 -4.153
C 3.122 -1.381 -2.782
C 2.422 -0.550 -1.923
C 1.705 2.950 -1.095
C 3.085 2.869 -1.291
C 3.872 3.997 -1.114
C 3.286 5.201 -0.755
C 1.912 5.287 -0.564
C 1.121 4.166 -0.730
H 0.474 0.162 4.549
H 0.907 -1.961 5.699
H 1.600 -3.953 4.417
H 1.841 -3.830 1.962
H 1.360 -1.727 0.779
H 3.399 0.049 1.548
H 5.553 1.158 1.923
H 5.622 3.515 2.659
H 3.530 4.780 2.976
H 1.354 3.703 2.562
H 0.588 1.168 -4.217
H 1.841 -0.315 -5.735
H 3.461 -1.935 -4.824
H 3.829 -2.097 -2.387
H 2.584 -0.626 -0.854
H 3.546 1.939 -1.598
H 4.940 3.935 -1.274
H 3.902 6.082 -0.637
H 1.460 6.234 -0.304
H 0.045 4.254 -0.623
C 0.429 -4.812 -0.383
C -0.571 -4.703 0.568
C -1.356 -3.557 0.623
C -1.146 -2.520 -0.286
C -0.131 -2.644 -1.244
C 0.658 -3.777 -1.287
Ge -2.421 -1.115 -0.401
C -3.450 -0.837 1.154
C -2.881 -0.970 2.429
C -3.683 -0.884 3.553
C -5.047 -0.666 3.408
C -5.620 -0.536 2.148
C -4.827 -0.600 1.018
C -3.192 -0.952 -2.127
C -4.044 0.071 -2.566
C -4.670 -0.023 -3.793
C -4.462 -1.134 -4.603
C -3.628 -2.155 -4.184
C -2.987 -2.066 -2.956
H 1.031 -5.709 -0.431
H -0.748 -5.510 1.264
H -2.143 -3.492 1.366
H 0.042 -1.852 -1.964
H 1.434 -3.871 -2.035
H -1.819 -1.170 2.539
H -3.253 -0.994 4.539
H -5.673 -0.598 4.287
H -6.685 -0.381 2.052
H -5.276 -0.488 0.039
H -4.227 0.943 -1.954
H -5.327 0.770 -4.121
H -4.957 -1.200 -5.562
H -3.472 -3.023 -4.809
H -2.342 -2.879 -2.651
O -2.259 3.557 0.394
N -3.444 3.174 0.311
O -3.447 1.946 -0.064
*
```

Results
Energy relative to the best compared isomer or geometry (same formula, charge and spin)   148.6 kJ/mol
HOMO energy (alpha / beta)   -14.1 / -14.2 eV
Frontier orbital gap (alpha / beta)   6.6538 / 6.7324 eV

Atom charges from the Löwdin analysis, given in e for atoms 1 to 2: number 1, V, carries 0.423; number 2, S, carries 0.551

---

Record 2
Density functional theory data (ωB97M-V with the def2-TZVPD basis set) for a molecular structure, C43H36Br2N11O3Zr.

The geometry in ORCA input format:
```
! RIJCOSX wB97M-V def2-TZVPD def2/J DEFGRID3
* xyz 1 1
Zr 0.382 -0.673 -0.740
C 1.136 3.214 1.402
C 0.906 1.711 1.336
N 0.454 1.311 -0.012
C -0.308 2.296 -0.656
C -0.428 3.557 -0.190
N 0.456 4.072 0.762
C -0.987 1.870 -1.883
C -1.649 2.748 -2.745
C -2.221 2.269 -3.904
C -2.066 0.912 -4.210
C -1.372 0.101 -3.343
N -0.860 0.573 -2.186
C -1.036 -1.303 -3.664
C -1.563 -2.006 -4.746

THERE IS NOTHING wrong with the technology behind apps or consumers themselves.

Part of the main issue is the promotional approach, lack of 360-degree integration and often times inorganic or just plain boring content and games that even the brand employees themselves would not engage in if they were not paid to do so.

In the near future, the industry will begin to see the vital usage of more strategy experts with true behavioral understanding and real-time creativity to help create successful projects.

Young consumers, particularly those of color, are ready and willing for the next hot experience across mobile.

These consumers are simply not consistently promoted to and engaged with in an appropriate manner by most brands, but the situation can easily be changed.

Mobile is only getting bigger, more elements are being created and the consumer is glued to the device.

### Records of molecules from another source follow
┌──
No. 1
Below is a molecular structure, C9H23AlF4N4Si at a distorted geometry, with properties calculated with the ωB97M-V functional and the def2-TZVPD basis.

Last column: natural (NBO) charge in e.
Positions of all 42 atoms, in Å:
C  -0.355446  -1.462566  3.484223  -0.62
C  -0.320401  -1.380338  1.966723  -0.24
N  -1.508001  -2.016593  1.401317  -0.38
N  -1.295608  -2.530342  0.108508  -0.40
C  -0.974767  -1.744124  -0.922291  0.69
N  -0.123184  -2.162639  -1.904112  -0.60
C  1.080279  -1.258349  -1.964396  -0.20
C  0.670273  0.215260  -2.062224  -0.69
Si  1.667626  1.364125  -0.887266  1.64
C  3.081081  0.495605  -0.014787  -1.13
C  2.444971  2.736506  -1.904228  -1.11
C  0.488389  2.076487  0.336185  -1.14
C  -0.849747  0.449028  -1.890765  -0.23
N  -1.538710  -0.509527  -0.990612  -0.57
H  -1.034647  -0.720814  3.902688  0.26
H  -0.609046  -2.468999  3.827928  0.19
H  0.643944  -1.233205  3.858583  0.22
H  -0.329491  -0.331533  1.686576  0.22
H  0.613981  -1.816664  1.577594  0.15
H  -1.766617  -2.806844  1.977199  0.36
H  -1.454248  -3.516159  -0.045681  0.40
H  0.203563  -3.098551  -1.681731  0.38
H  1.661043  -1.558187  -2.834004  0.22
H  1.664689  -1.474047  -1.066098  0.19
H  0.900043  0.555380  -3.074235  0.25
H  2.747612  -0.254060  0.710347  0.23
H  3.670058  1.226784  0.543896  0.25
H  3.764754  -0.009393  -0.703887  0.23
H  2.940663  2.297480  -2.775406  0.23
H  1.683530  3.433846  -2.257678  0.24
H  3.195924  3.257204  -1.309153  0.24
H  -0.280384  2.671034  -0.159114  0.27
H  -0.029058  1.296536  0.887086  0.25
H  0.990702  2.721920  1.061017  0.25
H  -1.336574  0.379257  -2.869459  0.19
H  -1.065428  1.447211  -1.517497  0.26
H  -2.476955  -0.662302  -1.353089  0.44
F  -2.718613  2.200614  0.115364  -0.79
Al  -3.378193  1.286330  1.388489  2.16
F  -2.225635  1.237690  2.628731  -0.79
F  -3.623816  -0.286662  0.812970  -0.79
F  -4.818558  1.953601  1.912288  -0.77

Forces on atoms 1 to 6 (eV/Å):
C 0.2 0.2 0.0
C 0.2 0.3 0.1
N -0.3 -0.4 0.0
N 0.1 -0.1 -0.4
C -0.9 0.4 0.0
N 0.2 -0.3 0.5

Electronic energy, eV: -41018.366
Spin multiplicity: 1
Molar mass, g mol⁻¹: 318.37
Energy relative to the best compared isomer or geometry (same formula, charge and spin), kcal/mol: 0.00
Orbital gap, eV: 8.92

***

No. 2
Below is a single CH6N2O2 molecule at a distorted geometry, with properties calculated with the ωB97M-V functional and the def2-TZVPD basis.

Last column: natural (NBO) charge in e.
Positions of all 11 atoms, in Å:
N  0.817962  1.663164  0.651756  -0.66
N  0.091118  0.459591  0.766710  -0.48
C  0.413931  -0.546784  -0.206971  0.07
O  -0.637556  -1.543924  -0.169059  -0.29
O  -1.832690  -1.109104  -0.824323  -0.47
H  0.958683  1.939298  -0.324737  0.32
H  1.728158  1.523564  1.081707  0.35
H  -0.908796  0.669124  0.684171  0.36
H  1.284970  -1.123040  0.121489  0.18
H  0.550817  -0.148449  -1.233422  0.14
H  -2.466597  -1.783438  -0.547324  0.47

Forces on atoms 1 to 6 (eV/Å):
N 0.3 0.1 -0.2
N -0.8 0.3 0.2
C -1.4 -0.7 -0.2
└──

Those businesses which get the basics right now – and yes, we still are in the basics phase when even the above has not been yet properly used – will be in the fast-lane in the quarters to come.

Lauren DeLisa Coleman is a socio-economic digitalist who studies, writes and consults on the convergence of the 18-34 demo with digital platforms. Reach her at